Comprehensive Guide to No Fault Divorce: Understanding the Changes

No fault divorce has finally arrived. Here’s everything you need to know, including how the divorce process has changed, how much it costs, and why it’s controversial.

No fault divorce came into effect in England and Wales on 6 April 2022.

This is the most significant change to divorce law since 1969 with big changes for the divorce process.

In this guide, we’ll explore:
  • The five ways that the divorce process has changed
  • The costs of no fault divorce
  • How no fault divorce affects dealing with finances
  • The arguments for and against no fault divorce

5 ways the divorce process has changed

The new divorce system is significantly different to the one it replaced on 6 April 2022.

Here’s how the divorce process has changed.

#1 Divorce can be granted without one spouse blaming the other

One of the most significant changes introduced by the new laws is the removal of the element of blame or ‘fault’ from the divorce process.

Under the previous laws, you had to prove your marriage has broken down by using one of the five grounds for divorce.

This is no longer the case.

Instead, all you need to do is provide a statement saying that you believe your marriage has broken down irretrievably.

This statement can’t be contested.

It’s hoped that the removal of blame will help to make the divorce process less bitter and more constructive for those going through it.  

#2 Couples can apply for divorce together

• Next to the text, the page also holds data records:
********
1.
Density functional theory data (the ωB97M-V functional and the def2-TZVPD basis) for 2 unconnected molecules or ions with the total composition C9H14O at a distorted geometry.

Each line ends with the natural charge from an NBO analysis.
CARTESIAN COORDINATES (ANGSTROEM)
C  2.2444  0.2201  0.8781  -0.65
C  1.0512  0.4199  0.0464  -0.07
C  0.9190  -0.2293  -1.1830  -0.17
C  -0.2101  0.0956  -1.9428  -0.27
C  -1.0994  1.0702  -1.5150  0.29
O  -2.2280  1.2426  -2.2763  -0.67
C  -0.8802  1.8968  -0.3879  -0.29
C  0.1912  1.4921  0.3895  -0.18
H  3.1359  -0.3920  0.6671  0.23
H  2.0915  -0.1959  1.9296  0.22
H  2.7309  1.2427  1.0323  0.22
H  1.5174  -1.0862  -1.4863  0.22
H  -0.3602  -0.3223  -2.9322  0.22
H  -2.8821  1.6601  -1.7061  0.48
H  -1.5653  2.6984  -0.1054  0.22
H  0.4606  1.9721  1.3262  0.21
C  0.2896  -2.6754  3.0231  -0.62
C  -0.3195  -2.3369  1.6140  -0.62
H  -0.5529  -3.2205  3.4769  0.20
H  1.1543  -3.2929  3.1009  0.21
H  0.5407  -1.7967  3.6056  0.20
H  0.4240  -2.3859  0.7769  0.21
H  -0.8353  -1.3478  1.6001  0.21
H  -1.1629  -3.0193  1.4684  0.20

Cartesian forces (eV/Å) of the 6 atoms listed first:
C 2.4 0.8 3.4
C 0.1 0.2 -1.3
C -1.6 0.2 0.5
C 0.5 0.3 -0.1
C -0.3 0.8 0.0
O -0.1 0.1 0.0

Output
orbital gap = 9.14 eV
DFT total energy = -11606.5593 eV
SMILES = Cc1ccc(O)cc1.CC
highest occupied orbital energy = -8.26 eV
charge = 0
energy above the lowest of the compared OMol25 structures with the same formula, charge and spin = 1.077 eV

2.
Density functional theory data (the ωB97M-V functional and the def2-TZVPD basis) for a gas-phase ion, C6H11N4 (charge +1) at a distorted geometry.

Each line ends with the natural charge from an NBO analysis.
CARTESIAN COORDINATES (ANGSTROEM)
N  -2.8564  -2.1657  -0.1717  -0.75
C  -2.2310  -0.9620  -0.1284  0.14
C  -2.6184  0.3213  0.0280  -0.39
C  -1.9628  1.6352  0.2230  0.00
C  -0.7138  2.1139  0.0091  -0.40
C  0.6106  1.7558  -0.2125  0.18
N  1.2584  0.6201  -0.0573  -0.28
N  2.5433  0.4546  -0.2324  -0.33
C  2.9469  -0.7067  0.1353  0.29
N  4.2308  -1.0608  0.1639  -0.74
H  -3.8048  -2.1629  0.2405  0.41
H  -2.4886  -3.0315  -0.4669  0.42
H  -1.1983  -1.0162  -0.5440  0.16
H  -3.6676  0.3836  0.2542  0.20
H  -2.8034  2.2426  0.5068  0.24
H  -0.6722  3.1934  -0.0013  0.25
H  1.2620  2.5443  -0.6530  0.24
H  0.7382  -0.1991  0.2010  0.37
H  2.1695  -1.3355  0.5911  0.15
H  4.3236  -2.1054  0.3210  0.42
H  4.9338  -0.5192  -0.2063  0.42

Cartesian forces (eV/Å) of the 6 atoms listed first:
N -2.3 2.7 1.7
C 3.4 -1.0 -2.5
C -1.0 0.7 1.6
C -1.0 -3.7 -0.9
C -0.3 1.7 0.3
C 1.9 -0.7 -1.3

Output
orbital gap = 7.01 eV
DFT total energy = -12351.5080 eV
SMILES = N/C=C/C=C\C=[NH+]\N=C\N
highest occupied orbital energy = -11.57 eV
charge = +1
energy above the lowest of the compared OMol25 structures with the same formula, charge and spin = 2.958 eV

3.
********

Under the new laws, couples can apply for divorce together.

Previously, one spouse had to start proceedings against the other.

The person who filed for divorce was called the petitioner, while the other was known as the respondent. This was the case even if the decision to get divorced was mutual.

Couples now have the option of applying for divorce together as joint applicants.  

The aim of the change is to allow the divorce process to start in a non-confrontational way.

If only one spouse applies for divorce, they’re now called the applicant. Their spouse will still be called the respondent.

#3 Some divorce terminology has been updated

Some of the divorce terminology has been updated to make it easier to understand.

Most notably, the two court orders – the decree nisi and the decree absolute - have lost their Latin names.

The decree nisi is now called the conditional order while the decree absolute is called the final order.

Meanwhile, the person who applies for divorce is now called the applicant, rather than the petitioner.

#4 Divorce will take a minimum of 26 weeks

Divorce under the new laws will take a minimum of 26 weeks.

A minimum period of 20 weeks has been introduced between the divorce application and when you can apply for the conditional order. You’ll then have to wait for a further six weeks before you can apply for the final order.

The 20 weeks waiting period has been introduced to counter suggestions that the new divorce process would make divorce too easy, leading couples to give up on their marriage too quickly.

Couples are encouraged to use the time to reflect on their relationship and work on their differences before committing to divorce.

#5 It’s no longer possible to contest a divorce

It’s no longer possible to contest a divorce.

Along with the removal of fault, this is one of the most significant aspects of the divorce reforms.

Under the old system, a spouse had the option to contest the divorce application if they didn’t agree to the divorce, or if they didn’t accept the reasons provided.

While the option to contest was rarely used (99% of divorce cases were uncontested), it had the potential to make life difficult when one spouse wanted a divorce while the other didn’t.

In most cases when a spouse contested the divorce application, it would make the divorce take longer and increase solicitor fees.

This was frustrating enough.

In some cases, however, a spouse could prevent the divorce from going ahead altogether, until the couple had been separated for several years.

The case of Tini and Hugh Owens was a high-profile example of this (and was itself a driver behind the push for no fault divorce).

This isn’t possible under the new system.

A statement made by either spouse (or both) is now considered conclusive proof that the marriage has broken down and can’t be contested.

1.
62
Properties=species:S:1:pos:R:3:forces:R:3 method="wB97M-V/def2-TZVPD" total_charge=-1 orbital_gap_ev="5.690 / 5.741" s_squared=0.7760 e_homo_ev="-4.301 / -4.446" de_lowest_kj_mol=15.0 spin_multiplicity=2
Tc 0.412308 -0.085720 0.085541 -0.7 0.5 -0.1
Se 2.387808 -0.256025 1.390788 0.2 -0.1 0.0
Te 1.795852 -0.577970 3.822742 0.0 0.0 0.0
Te -0.214699 1.263062 3.890590 0.0 0.0 -0.1
Se -0.569404 1.608327 1.399408 0.1 -0.1 0.2
C -0.705885 2.787992 -2.244234 0.1 0.1 0.1
Se -1.457253 1.065669 -1.762223 0.2 -0.1 0.0
C -3.080126 1.874024 -1.009135 0.0 0.0 0.0
C -4.230941 0.898211 -0.867554 0.0 0.0 0.0
Se -3.962212 -0.425924 0.541187 -0.1 0.0 0.0
C -3.300259 -1.888288 -0.555279 -0.1 0.0 0.0
H -0.568301 3.392876 -1.350221 0.0 0.0 0.0
H -1.382311 3.278913 -2.940375 0.0 0.0 0.0
H 0.247405 2.585836 -2.724013 -0.1 0.0 0.1
H -3.341149 2.658305 -1.724465 0.0 0.0 0.0
H -2.846824 2.339479 -0.051173 0.0 0.0 0.0
H -4.433490 0.375472 -1.802504 0.0 0.0 0.0
H -5.133096 1.446899 -0.592443 0.0 0.0 0.0
H -4.118999 -2.376962 -1.077380 0.0 0.0 0.0
H -2.804813 -2.577835 0.124721 0.0 0.0 0.0
H -2.555041 -1.525812 -1.257412 0.0 0.0 0.0
C -1.365707 -2.805583 5.041066 0.0 0.0 0.0
Si -1.925240 -3.195162 3.295104 0.0 0.0 0.0
C -3.784153 -2.951176 3.203648 0.0 0.0 0.0
C -1.528316 -4.988181 2.909263 0.0 0.0 0.0
C -1.101027 -2.112774 2.099424 0.1 0.1 0.0
C -0.542441 -1.332281 1.343862 0.0 -0.1 0.1
H -1.872012 -3.449545 5.766000 0.0 0.0 0.0
H -1.590333 -1.764776 5.286456 0.0 0.0 0.0
H -0.288623 -2.945911 5.143557 0.0 0.0 0.0
H -4.296759 -3.600111 3.919175 0.0 0.0 0.0
H -4.169888 -3.178405 2.206783 0.0 0.0 0.0
H -4.046572 -1.915635 3.430320 0.0 0.0 0.0
H -2.010894 -5.663996 3.620425 0.0 0.0 0.0
H -0.450579 -5.158634 2.950118 0.0 0.0 0.0
H -1.866260 -5.249806 1.904121 0.0 0.0 0.0
O -0.373538 -3.263361 -2.817126 0.0 0.0 0.0
C -0.184183 -2.430027 -1.989351 0.0 -0.1 0.1
N 0.001800 -1.620672 -1.147607 0.3 0.0 -0.2
C 7.072268 -0.249409 -5.076439 0.0 0.0 0.0
C 5.737306 -0.055893 -4.407539 0.0 0.0 0.0
C 5.210483 -1.024008 -3.565967 0.0 0.0 0.0
C 3.971257 -0.865456 -2.950886 0.0 -0.1 0.1
C 3.449177 -1.932637 -2.026642 0.0 0.0 0.0
C 3.238997 0.290832 -3.208070 0.0 0.1 0.0
C 3.742349 1.278873 -4.058317 0.0 0.0 0.0
C 2.960597 2.535890 -4.336017 0.0 0.0 0.0
C 4.990783 1.094880 -4.637265 0.0 0.0 0.0
C 1.880706 0.472069 -2.574451 0.1 -0.3 0.1
O 0.880624 0.569382 -3.274005 0.1 0.0 -0.1
O 1.904030 0.506227 -1.281520 0.0 0.0 0.0
H 7.637788 -1.050821 -4.600529 0.0 0.0 0.0
H 7.671613 0.661605 -5.033084 0.0 0.0 0.0
H 6.948886 -0.509956 -6.130486 0.0 0.0 0.0
H 5.776617 -1.930860 -3.376360 0.0 0.0 0.0
H 3.930806 -2.887864 -2.237570 0.0 0.0 0.0
H 2.370222 -2.062191 -2.120717 0.1 0.0 0.0
H 3.644926 -1.671183 -0.984747 0.0 0.0 0.0
H 2.671622 3.030169 -3.405944 0.0 0.0 0.0
H 2.043115 2.309428 -4.878876 0.0 0.0 0.0
H 3.557237 3.236628 -4.921018 0.0 0.0 0.0
H 5.390025 1.869193 -5.285756 0.0 0.0 0.0

2.
65

How much does no fault divorce cost?

No fault divorce might be cheaper for some couples.

The £593 divorce application fee can now be paid jointly with your spouse, bringing the cost down to £296.5 each.

Furthermore, a contested divorce was one of the factors that made a divorce more expensive. With the option to contest now gone, it will reduce the cost for those who would otherwise have had a contested divorce.

However, the new divorce reforms haven’t changed the thing that affects the cost of divorce the most – the financial settlement.

Find out more in our guide: How much does a divorce cost?

Finances and no fault divorce

No fault divorce doesn’t affect your financial obligations to your spouse. So, it’s important to reach a financial settlement at the same time as the divorce. Otherwise, your spouse could make a claim against your estate.

The divorce reforms haven’t changed the existing process for dealing with finances in a divorce.

To separate your finances, you’ll need to get a financial consent order.

If you can’t agree with your spouse how to split your finances, you’ll need to get a judge to decide for you.

The no fault divorce debate

No fault divorce is the most significant reform to the divorce process since the 1969 Divorce Reform Act.

This act allowed couples to get divorced after two years separation if they both wanted a divorce, or five years if only one partner wanted a divorce.

In a sense, then, ‘no fault’ divorce has been possible since 1969. But only if a couple were willing to wait for at least two years.

In practice, many people who wanted a divorce didn’t want to wait. Instead, they would try to get an immediate divorce by citing one of the other grounds for divorce, like unreasonable behaviour.

What the new law does is make no fault divorce available immediately without having to make allegations against your spouse.

Many have welcomed the new system, from solicitors to women’s rights campaigners. But others have pushed back.

Here’s a look at some of the arguments for and against.

Arguments for no fault divorce

Supporters of the new divorce law will point to the removal of the element of blame as a positive step forward.

As well as making the divorce process less stressful, it’s hoped that couples will find dealing with finances and childcare arrangements easier now they’re not forced to point fingers at one another.

Removing the option to contest is also welcomed by supporters of the new laws.

A spouse that contested a divorce petition would make the divorce process much more complicated and expensive. They could even prevent the divorce from going ahead for several years.

The new laws will put a stop to this.

Under the new system, no one will ever have to stay in a marriage for any longer than they wish.

Arguments against no fault divorce

Arguments against no fault divorce range from practical concerns to moral questions.

The main concern is that making the divorce process easier will encourage couples to reach for divorce at the first opportunity instead of trying to work on their relationship.

This could result in marriages ending in divorce unnecessarily.

A related problem is that while divorce has been made simpler in some respects, the new laws haven’t changed the process for dealing with finances and children.

The worry is that people will rush towards the promise of an easy divorce without appreciating the difficulties of separating financially and making child arrangements.

Some opponents of no fault divorce also argue that it damages the institution of marriage.

Marriage, so the argument goes, is the cornerstone of family life and promotes social stability. Making it easier to get out of than a mobile phone contract doesn’t treat it with the respect that it deserves.

Talk to a divorce solicitor
If you have questions about divorce, you should talk to a family solicitor.

The Law Superstore connects you with family solicitors across England and Wales. Just type in a few details to compare prices and connect with professionals who’ll guide you through the divorce process.